Introduction: Build a 500 Metre Radio Data Link for Under $40.

About: Dr James Moxham is a general medical practitioner in Blackwood, Australia. His interests include general family medicine, medical politics, microcontrollers and tending a rose garden. He lives on a property wi…
Have a water tank you want to measure or a dam or a gate? Want to detect a car coming down the drive but don't want to string wires through the garden? This instructable shows how to send data 500 metres with 100% reliability using picaxe microcontroller chips and 315Mhz or 433Mhz radio modules.

Step 1: Schematic

The transmitter and receiver circuits are quite simple and use picaxe chips. These single chip microcontrollers can sense analog voltages, turn things on and off and can transmit data. See instructables and for a description of how to program picaxe chips. With a radio link as well as an interface to a PC it is possible to sense data remotely and transmit it anywhere in the world.

Step 2: Transmitter and Antenna

The transmitter prototype was built on a piece of prototype board. There are a myriad of low power 10mW RF modules available which work well up to a range of about 30 metres. However, once the power goes up above half a watt the RF tends to get back into the picaxe chip and cause resets and other strange behaviour. The answer is to remove the module's antenna and take the RF away with 3 metres or more of 50ohm coax and build a proper dipole antenna. This also boosts the range considerably.

Step 3: Build a Dipole Antenna With a Balun

At the antenna is a balun made of coax cable. A balun is needed otherwise the shield of the coax ends up becoming an antenna instead of being the earth and radiates RF down near the picaxe which defeats the purpose of the antenna. There are lots of balun designs but I chose this one because it just uses bits of coax cable. Common wavelengths are 95.24cm for 315Mhz and 69.34cm for 433Mhz. The coax lengths are 1/4 and 3/4 of the wavelength respectively. The dipole wires are 1/4 of the wavelength. So for the modules I used at 315Mhz the coax wires were 23.8cm and 71.4cm and the dipole wires were each 23.8cm.

The coax shield and core are joined together where the coax splits into two. At the dipole note the shields are also connected. If these joins are out in the weather then they need to be weatherproofed in some way - eg with paint or non conductive silicone. Antennas work best when at least 2 metres off the ground.

Acknowledgement and thanks to I0QM for this design.

Step 4: Transmitter Module

The transmitter module is available on ebay for around $US14 at The current consumption is around 100mA when transmitting at 9V, and is virtually nothing when idle. The antenna was removed to build the dipole, though the module might be ok with the antenna attached if it were paired with a different microcontroller. The coax braid is connected to the module earth which is conveniently next to the antenna connection.

Step 5: Receiver Module

The receiver module is a superheterodyne unit available for around $US5 from the same ebay store. There are a number of other modules (including superregenerative) that are not as sensitive and don't give the range.

Step 6: Receiver Circuit and Picaxe Code

# Unrelated to this page: records of molecules
- - -
Record 1
Below is a structure of composition C27H45CuGeNPSe, with properties calculated with wB97M-V/def2-TZVPD.

charge: 0
HOMO-LUMO gap: 6.8 eV
electronic energy: -206011.4580 eV
LUMO: 0.4 eV
HOMO: -6.4424 eV
spin multiplicity: 1

```
77
Properties=species:S:1:pos:R:3:forces:R:3:mulliken_charge:R:1
H -1.018 -0.655 4.431 0.00 0.02 -0.01 0.317
N 0.578 -1.256 -0.281 -0.23 0.15 0.11 0.652
C 2.865 -1.994 -3.076 -0.04 0.02 0.04 -0.949
C -3.090 1.351 2.971 -0.01 0.07 0.01 -0.969
C 0.512 3.213 -3.418 -0.01 -0.03 0.02 -1.452
H 1.157 2.276 -0.133 0.01 0.01 0.02 0.110
H 1.764 3.684 -1.022 -0.01 0.00 0.00 0.542
H -3.492 0.836 3.844 0.04 -0.02 0.00 0.469
C 1.991 -4.904 3.894 0.01 0.02 -0.04 -1.657
C 1.457 -0.193 -3.703 0.00 -0.01 0.06 -0.150
H -2.297 -1.288 -2.772 0.00 0.00 0.00 0.273
C 2.178 -2.673 2.733 -0.01 0.03 0.01 -1.284
H -0.272 3.688 4.891 -0.01 0.00 0.00 0.401
C -0.778 2.755 4.640 -0.03 0.00 -0.03 -1.059
H -1.003 -4.845 -0.109 0.01 0.00 0.00 0.465
H -3.996 3.760 5.209 0.01 -0.01 -0.01 0.341
H -2.498 4.187 1.133 0.00 -0.01 0.01 0.363
H 3.669 -2.688 -3.303 0.00 0.00 0.00 0.388
C 0.405 -3.460 0.745 0.00 0.02 0.02 1.932
H -3.893 1.453 2.244 -0.02 0.01 0.02 0.453
H -0.660 -1.804 3.118 0.01 -0.02 0.01 -0.205
P -0.508 0.905 -1.980 -0.14 0.16 -0.12 1.538
C 1.872 -1.787 1.705 -0.02 -0.02 -0.03 2.028
H -2.430 1.755 -3.082 -0.01 0.01 0.01 0.461
H 2.872 -2.360 3.508 0.00 0.00 -0.01 0.371
H 3.307 -1.955 -5.821 0.00 0.00 -0.01 0.382
H 2.579 -2.821 -1.132 -0.01 0.01 0.00 0.468
C -2.829 -0.333 -2.748 0.00 0.02 0.00 -1.398
H 2.850 -5.514 3.606 0.00 0.00 0.01 0.282
H 2.201 2.047 -1.536 0.00 0.01 0.01 0.303
C -1.536 0.605 -4.669 -0.01 0.02 0.01 -1.595
H 1.691 0.354 1.696 0.00 0.01 0.01 -0.034
H 1.168 -5.582 4.121 0.00 0.00 0.00 0.399
C -1.654 3.905 1.765 -0.02 0.02 0.05 -0.856
H -2.320 -1.690 3.768 -0.01 0.00 -0.02 0.361
Ge -2.277 3.093 3.431 -0.01 -0.02 0.02 0.401
H -3.689 -0.413 -3.417 0.00 -0.01 0.00 0.494
C 0.974 -2.181 0.702 0.08 -0.01 -0.02 -1.949
Cu -0.847 0.067 0.057 0.17 -0.11 -0.09 -1.145
Se -1.755 0.183 2.167 0.08 -0.05 0.01 0.330
H 3.156 -0.252 2.493 0.00 0.00 -0.01 0.453
C -0.561 -3.873 -0.330 0.02 0.00 0.01 -1.416
C 2.472 -0.410 1.659 0.00 -0.04 0.00 -1.090
H -0.064 -3.930 -1.301 -0.01 0.01 0.00 0.267
H -3.191 -0.174 -1.732 -0.01 -0.01 0.00 0.229
H 1.148 0.541 -4.436 0.00 0.01 0.00 0.167
H -1.121 2.293 5.567 0.00 0.01 -0.01 0.344
H -1.026 3.207 1.210 0.01 -0.02 0.00 -0.087
C 0.799 -0.240 -2.468 0.05 -0.12 0.06 -0.998
H 2.258 -4.373 4.808 0.00 0.00 0.00 0.389
C 1.396 2.662 -1.127 -0.03 0.03 -0.01 -1.423
H 0.282 -5.305 1.820 0.00 0.01 0.00 0.377
C 3.192 -0.968 -5.369 -0.01 0.00 0.05 -1.789
C 1.191 -1.205 -1.485 0.02 0.05 -0.09 0.486
C 0.733 -4.318 1.789 -0.02 0.00 -0.01 -1.199
H 2.634 -0.345 -6.069 0.00 0.00 0.00 0.358
C 2.251 -2.077 -1.848 0.02 -0.01 0.00 -0.244
H -1.069 4.801 1.977 -0.01 0.00 -0.01 0.437
H -0.620 3.228 -1.601 -0.01 0.00 0.01 0.497
C -3.631 4.220 4.290 0.04 -0.01 -0.03 -1.133
H -1.359 -3.134 -0.431 -0.01 0.00 0.00 0.130
- - -

The receiver module is connected to a picaxe as shown in the schematic. The antenna is a 23.8cm piece of wire, and to make a dipole and increase the sensitivity another length of 23.8cm wire is soldered to the earth of the module.

The transmitter code is as follows:

main:serout 1,N2400,("UUUUUUUUUUUUUTW",b0,b1,b2,b3,b4,b5,b6,b7,b8,b9,b10,b11,b12,b13)
' T and W = ascii &H54 and &H57 = 0100 and 0111 = equal 1s and 0s
'b0=random number
'b1=random number
'b2=to device
'b6/b7 = data 1 and reverse
'b8,b9 = data 2
'b10,b11 = data 3
'b12,b13 = data 4
random w0 ' random number used to identify messages when using multiple repeaters
b2=5' to device number...
b4=126' random number for testing
b6=0' random number for testing
b8=1' random number for testing
b10=2' random number for testing
b12=3' checksum - any value
pause 60000' transmit once per minute
goto main

And the receiver code:

main: serin 4,N2400,("TW"),b0,b1,b2,b3,b4,b5,b6,b7,b8,b9,b10,b11,b12,b13
b13=255-b13' inverse again only need to really test one
if b12=b13 then
for b12=0 to 55
high 2
pause 100' flash led once a second for a minute
low 2
pause 900
goto main

The transmitter sends a packet once per minute - once debugged this ought to be decreased to every 15 mins or 30mins to avoid interference to neighbours. The "œUUUU" at the beginning of the packet is binary for 01010101 which balances the Rx unit. The protocol uses a form of Manchester coding where the number of 1's and 0's is kept as equal as possible, and this is done by sending the inverse of each byte after the byte is sent. Without this the packets sometimes don't get through if they are sending lots of binary zeros. A checksum at the end must be valid before the data is processed. The receiver flashes a led for 55 seconds when a packet is received and once debugged, this could be changed to some other acknowledgement.

Step 7: Lower Power Module and Neighbourly Relations

To keep neighbourly relations happy, especially with digital TV, send the data as far as it needs to go but no further. One can argue about the legalities of higher power transmitters but the best solution is to keep the RF on your property and send data infrequently in brief packets. This lower power module is half the price and goes about 200 metres. The lower power does have the advantage that it can have an antenna mounted directly on the module and can be soldered next to the picaxe, so the coax and balun are not needed.

Range tests were done through trees and over a hill which explains why a module listed as "4000m" only went 500 metres.

Next up will be an instructable on building self contained solar power supplies suitable for the these units, as well as sensors such as temperature, pressure, humidity, soil moisture and tank levels.